== Brief ==
The reader should filter the listing further below: keep the lines with the word "Ni2".

== Material ==
........
Record 1
# TaClF2 (PBE, optimized geometry)
data_TaClF2
_space_group_name_H-M_alt 'F m -3 m'
_space_group_IT_number 225
_space_group_name_Hall '-F 4 2 3'
_cell_length_a 5.8945
_cell_length_b 5.8945
_cell_length_c 5.8945
_cell_angle_alpha 90.00
_cell_angle_beta 90.00
_cell_angle_gamma 90.00
loop_
_atom_site_label
_atom_site_type_symbol
_atom_site_fract_x
_atom_site_fract_y
_atom_site_fract_z
_atom_site_occupancy
Ta1 Ta 0.0000 0.0000 0.0000 1
Cl1 Cl 0.0000 0.0000 0.5000 1
F1 F 0.2500 0.2500 0.2500 1
# Fermi-level density of states	13.2	states/eV per cell
# uncorrected energy	-5.1594	eV per atom
# total magnetic moment	7.65	Bohr magnetons per cell

***

Record 2
# ZnHg2Br (PBE, optimized geometry)
data_ZnHg2Br
_space_group_name_H-M_alt 'P 1 m 1'
_space_group_IT_number 6
_space_group_name_Hall 'P -2y'
_cell_length_a 3.8584
_cell_length_b 3.7060
_cell_length_c 8.1187
_cell_angle_alpha 90.00
_cell_angle_beta 99.67
_cell_angle_gamma 90.00
loop_
_atom_site_label
_atom_site_type_symbol
_atom_site_fract_x
_atom_site_fract_y
_atom_site_fract_z
_atom_site_occupancy
Zn1 Zn 0.0000 0.0000 0.0000 1
Hg1 Hg 0.4793 0.0000 0.4601 1
Hg2 Hg 0.8752 0.5000 0.2322 1
Br1 Br 0.1829 0.5000 0.8134 1
# Fermi-level density of states	0.5	states/eV per cell
# uncorrected energy	-1.0149	eV per atom
# total magnetic moment	0.00	Bohr magnetons per cell

***

Record 3
# PaCF (PBE, optimized geometry)
data_PaCF
_space_group_name_H-M_alt 'I 4 m m'
_space_group_IT_number 107
_space_group_name_Hall 'I 4 -2'
_cell_length_a 3.3909
_cell_length_b 3.3909
_cell_length_c 10.6090
_cell_angle_alpha 90.00
_cell_angle_beta 90.00
_cell_angle_gamma 90.00
loop_
_atom_site_label
_atom_site_type_symbol
_atom_site_fract_x
_atom_site_fract_y
_atom_site_fract_z
_atom_site_occupancy
Pa1 Pa 0.0000 0.0000 0.0000 1
C1 C 0.0000 0.0000 0.4914 1
F1 F 0.0000 0.0000 0.1981 1
# Fermi-level density of states	1.8	states/eV per cell
# uncorrected energy	-8.0256	eV per atom
# total magnetic moment	0.00	Bohr magnetons per cell

***

no.,formation energy from raw total energies (meV/atom)
1,-798.9
2,-127.3
3,-1161.9

----------

Record 1
Ni8Br | PBE | relaxed

Output
Crystal system   tetragonal
Formation energy from raw total energies   0.275 eV/atom

```
data_Ni8Br
_chemical_formula_sum 'Ni16 Br2'
_symmetry_space_group_name_H-M 'I 4/m m m'
_symmetry_Int_Tables_number 139
_symmetry_space_group_name_Hall '-I 4 2'
_cell_length_a 7.7541
_cell_length_b 7.7541
_cell_length_c 3.5432
_cell_angle_alpha 90.00
_cell_angle_beta 90.00
_cell_angle_gamma 90.00
loop_
_atom_site_label
_atom_site_type_symbol
_atom_site_fract_x
_atom_site_fract_y
_atom_site_fract_z
_atom_site_occupancy
Ni1 Ni 0.0000 0.3414 0.0000 1
Ni2 Ni 0.1758 0.1758 0.5000 1
Br1 Br 0.0000 0.0000 0.0000 1
```

---

Record 2
KAgSbTe3 | PBE | relaxed

Output
Crystal system   monoclinic
Formation energy from raw total energies   -0.340 eV/atom

```
data_KAgSbTe3
_chemical_formula_sum 'K2 Ag2 Sb2 Te6'
_symmetry_space_group_name_H-M 'P 1 21/m 1'
_symmetry_Int_Tables_number 11
_cell_length_a 9.7632
_cell_length_b 4.3707
_cell_length_c 10.1652
_cell_angle_alpha 90.00
_cell_angle_beta 106.83
_cell_angle_gamma 90.00
loop_
_symmetry_equiv_pos_as_xyz
'x,y,z'
'-x,-y,-z'
'-x,y+1/2,-z'
'x,-y+1/2,z'
loop_
_atom_site_label
_atom_site_type_symbol
_atom_site_fract_x
_atom_site_fract_y
_atom_site_fract_z
_atom_site_occupancy
K1 K 0.1970 0.2500 0.2562 1
Ag1 Ag 0.0645 0.2500 0.5901 1
Sb1 Sb 0.3309 0.7500 0.8665 1
Te1 Te 0.1191 0.2500 0.8841 1
Te2 Te 0.2359 0.7500 0.5483 1
Te3 Te 0.4615 0.7500 0.1708 1
```

---

Record 3
Mn2Co2Ni | PBE | relaxed

Output
Crystal system   tetragonal
Excess energy over the best structure of this formula in the dataset   74 meV per atom
Formation energy from the elements   0.2285 eV/atom

```
data_Mn2Co2Ni
_chemical_formula_sum 'Mn4 Co4 Ni2'
_symmetry_space_group_name_H-M 'P 4/m b m'
_symmetry_Int_Tables_number 127
_symmetry_space_group_name_Hall '-P 4 2ab'
_cell_length_a 6.6963
_cell_length_b 6.6963
_cell_length_c 2.4549
........

== Response ==
Ni2 Ni 0.1758 0.1758 0.5000 1
_chemical_formula_sum 'Mn4 Co4 Ni2'